What is needed: give back the whole of the listing below verbatim.

........
# Na2HgAsF6
Theoretical PXRD pattern, Cu Kα (weighted mean of Kα1 and Kα2). Input: a DFT-relaxed cell (GGA-PBE, the Materials Project).
Peak positions follow from Bragg's law for the DFT cell and can differ from measured ones.

Principal peaks in the range 5° ≤ 2θ ≤ 70°, by intensity:
| hkl | 2θ (°) | intensity |
| --- | --- | --- |
| 2 0 0 | 19.4 | 1000 |
| 2 2 0 | 27.6 | 985 |
| 4 2 0 | 44.3 | 438 |
| 4 0 0 | 39.4 | 420 |
| 4 2 2 | 48.7 | 399 |
| 4 4 0 | 56.9 | 255 |

Atomic structure:
```
data_Na2HgAsF6
_cell_length_a 9.151
_cell_length_b 9.151
_cell_length_c 9.151
_cell_angle_alpha 90.00
_cell_angle_beta 90.00
_cell_angle_gamma 90.00
_space_group_name_H-M_alt 'F m -3 m'
_space_group_IT_number 225
_space_group_name_Hall '-F 4 2 3'
loop_
_atom_site_label
_atom_site_type_symbol
_atom_site_fract_x
_atom_site_fract_y
_atom_site_fract_z
Na1 Na 0.250 0.250 0.250
Hg1 Hg 0.000 0.000 0.000
As1 As 0.000 0.000 0.500
F1 F 0.000 0.000 0.280
```

----------

Structure and theoretical powder diffractogram of Ba4Ta2TiZnO12 (DFT lattice parameters and positions (GGA-PBE); Cu Kα X-rays).
Lines closer than 0.1° are merged.

Structure:
```
data_Ba4Ta2TiZnO12
_cell_length_a 5.808
_cell_length_b 5.808
_cell_length_c 8.241
_cell_angle_alpha 90.00
_cell_angle_beta 90.00
_cell_angle_gamma 90.00
_space_group_name_H-M_alt 'P 4/m m m'
_space_group_IT_number 123
_space_group_name_Hall '-P 4 2'
loop_
_atom_site_label
_atom_site_type_symbol
_atom_site_fract_x
_atom_site_fract_y
_atom_site_fract_z
_atom_site_occupancy
Ba1 Ba 0.000 0.500 0.242 1
Ta1 Ta 0.000 0.000 0.000 1
Ta2 Ta 0.500 0.500 0.500 1
Ti1 Ti 0.000 0.000 0.500 1
Zn1 Zn 0.500 0.500 0.000 1
O1 O 0.000 0.000 0.256 1
O2 O 0.240 0.240 0.000 1
O3 O 0.248 0.248 0.500 1
O4 O 0.500 0.500 0.263 1
```

Largest 6 diffraction maxima, in order of rising 2θ, 10 to 90 degrees two-theta:
18.7°, I = 14.7, hkl 1 0 1
30.8°, I = 100.0, hkl 2 0 0
44.1°, I = 19.9, hkl 2 2 0
54.7°, I = 39.6, hkl 3 1 2
64.0°, I = 12.1, hkl 2 2 4
89.2°, I = 14.2, hkl 5 1 2

----------

This entry pairs a crystal structure of PmPr6NdY2 with its simulated powder X-ray diffraction pattern. Radiation: CuKα. Structure: a cell relaxed with GGA-PBE.

Atomic structure:
```
data_PmPr6NdY2
_space_group_name_H-M_alt 'C 1 2/m 1'
_space_group_IT_number 12
_cell_length_a 11.362
_cell_length_b 7.180
_cell_length_c 9.028
_cell_angle_alpha 90.00
_cell_angle_beta 103.30
_cell_angle_gamma 90.00
loop_
_space_group_symop_operation_xyz
'x,y,z'
'-x,-y,-z'
'-x,y,-z'
'x,-y,z'
'x+1/2,y+1/2,z'
'-x+1/2,-y+1/2,-z'
'-x+1/2,y+1/2,-z'
'x+1/2,-y+1/2,z'
loop_
_atom_site_label
_atom_site_fract_x
_atom_site_fract_y
_atom_site_fract_z
Pm1 0.000 0.000 0.000
Pr1 0.135 0.000 0.428
Pr2 0.177 0.271 0.801
Nd1 0.000 0.500 0.500
Y1 0.090 0.500 0.162
```

Peak list (10 most intense, 2θ = 10–90°, low angle first)
- 26.57 deg, d 3.355, I = 29
- 27.01 deg, d 3.301, I = 29
- 28.72 deg, d 3.109, I = 48
- 29.67 deg, d 3.011, I = 54
- 30.15 deg, d 2.964, I = 84
- 30.51 deg, d 2.930, I = 57
- 31.04 deg, d 2.881, I = 75
- 31.62 deg, d 2.830, I = 29
- 32.22 deg, d 2.778, I = 100
- 54.73 deg, d 1.677, I = 31

=====

This entry pairs a crystal structure of Nd2Zn5Ga3 with its simulated powder X-ray diffraction pattern. Radiation: CuKα. Structure: a cell relaxed with GGA-PBE.

Atomic structure:
```
data_Nd2Zn5Ga3
_space_group_name_H-M_alt 'P -4 m 2'
_space_group_IT_number 115
_cell_length_a 4.271
_cell_length_b 4.271
_cell_length_c 10.577
_cell_angle_alpha 90.00
_cell_angle_beta 90.00
_cell_angle_gamma 90.00
loop_
_space_group_symop_operation_xyz
'x,y,z'
'y,-x,-z'
'-x,-y,z'
'-y,x,-z'
'-x,y,z'
'-y,-x,-z'
'x,-y,z'
'y,x,-z'
loop_
_atom_site_label
_atom_site_fract_x
_atom_site_fract_y
_atom_site_fract_z
Nd1 0.000 0.500 0.249
Zn1 0.000 0.000 0.000
Zn2 0.000 0.000 0.500
Zn3 0.000 0.500 0.873
Zn4 0.500 0.500 0.000
Ga1 0.000 0.500 0.642
Ga2 0.500 0.500 0.500
```

Peak list (10 most intense, 2θ = 10–90°, low angle first)
- 29.58 deg, d 3.020, I = 17
- 32.94 deg, d 2.719, I = 61
........

# Na2HgAsF6
Theoretical PXRD pattern, Cu Kα (weighted mean of Kα1 and Kα2). Input: a DFT-relaxed cell (GGA-PBE, the Materials Project).
Peak positions follow from Bragg's law for the DFT cell and can differ from measured ones.

Principal peaks in the range 5° ≤ 2θ ≤ 70°, by intensity:
| hkl | 2θ (°) | intensity |
| --- | --- | --- |
| 2 0 0 | 19.4 | 1000 |
| 2 2 0 | 27.6 | 985 |
| 4 2 0 | 44.3 | 438 |
| 4 0 0 | 39.4 | 420 |
| 4 2 2 | 48.7 | 399 |
| 4 4 0 | 56.9 | 255 |

Atomic structure:
```
data_Na2HgAsF6
_cell_length_a 9.151
_cell_length_b 9.151
_cell_length_c 9.151
_cell_angle_alpha 90.00
_cell_angle_beta 90.00
_cell_angle_gamma 90.00
_space_group_name_H-M_alt 'F m -3 m'
_space_group_IT_number 225
_space_group_name_Hall '-F 4 2 3'
loop_
_atom_site_label
_atom_site_type_symbol
_atom_site_fract_x
_atom_site_fract_y
_atom_site_fract_z
Na1 Na 0.250 0.250 0.250
Hg1 Hg 0.000 0.000 0.000
As1 As 0.000 0.000 0.500
F1 F 0.000 0.000 0.280
```

----------

Structure and theoretical powder diffractogram of Ba4Ta2TiZnO12 (DFT lattice parameters and positions (GGA-PBE); Cu Kα X-rays).
Lines closer than 0.1° are merged.

Structure:
```
data_Ba4Ta2TiZnO12
_cell_length_a 5.808
_cell_length_b 5.808
_cell_length_c 8.241
_cell_angle_alpha 90.00
_cell_angle_beta 90.00
_cell_angle_gamma 90.00
_space_group_name_H-M_alt 'P 4/m m m'
_space_group_IT_number 123
_space_group_name_Hall '-P 4 2'
loop_
_atom_site_label
_atom_site_type_symbol
_atom_site_fract_x
_atom_site_fract_y
_atom_site_fract_z
_atom_site_occupancy
Ba1 Ba 0.000 0.500 0.242 1
Ta1 Ta 0.000 0.000 0.000 1
Ta2 Ta 0.500 0.500 0.500 1
Ti1 Ti 0.000 0.000 0.500 1
Zn1 Zn 0.500 0.500 0.000 1
O1 O 0.000 0.000 0.256 1
O2 O 0.240 0.240 0.000 1
O3 O 0.248 0.248 0.500 1
O4 O 0.500 0.500 0.263 1
```

Largest 6 diffraction maxima, in order of rising 2θ, 10 to 90 degrees two-theta:
18.7°, I = 14.7, hkl 1 0 1
30.8°, I = 100.0, hkl 2 0 0
44.1°, I = 19.9, hkl 2 2 0
54.7°, I = 39.6, hkl 3 1 2
64.0°, I = 12.1, hkl 2 2 4
89.2°, I = 14.2, hkl 5 1 2

----------

This entry pairs a crystal structure of PmPr6NdY2 with its simulated powder X-ray diffraction pattern. Radiation: CuKα. Structure: a cell relaxed with GGA-PBE.

Atomic structure:
```
data_PmPr6NdY2
_space_group_name_H-M_alt 'C 1 2/m 1'
_space_group_IT_number 12
_cell_length_a 11.362
_cell_length_b 7.180
_cell_length_c 9.028
_cell_angle_alpha 90.00
_cell_angle_beta 103.30
_cell_angle_gamma 90.00
loop_
_space_group_symop_operation_xyz
'x,y,z'
'-x,-y,-z'
'-x,y,-z'
'x,-y,z'
'x+1/2,y+1/2,z'
'-x+1/2,-y+1/2,-z'
'-x+1/2,y+1/2,-z'
'x+1/2,-y+1/2,z'
loop_
_atom_site_label
_atom_site_fract_x
_atom_site_fract_y
_atom_site_fract_z
Pm1 0.000 0.000 0.000
Pr1 0.135 0.000 0.428
Pr2 0.177 0.271 0.801
Nd1 0.000 0.500 0.500
Y1 0.090 0.500 0.162
```

Peak list (10 most intense, 2θ = 10–90°, low angle first)
- 26.57 deg, d 3.355, I = 29
- 27.01 deg, d 3.301, I = 29
- 28.72 deg, d 3.109, I = 48
- 29.67 deg, d 3.011, I = 54
- 30.15 deg, d 2.964, I = 84
- 30.51 deg, d 2.930, I = 57
- 31.04 deg, d 2.881, I = 75
- 31.62 deg, d 2.830, I = 29
- 32.22 deg, d 2.778, I = 100
- 54.73 deg, d 1.677, I = 31

=====

This entry pairs a crystal structure of Nd2Zn5Ga3 with its simulated powder X-ray diffraction pattern. Radiation: CuKα. Structure: a cell relaxed with GGA-PBE.

Atomic structure:
```
data_Nd2Zn5Ga3
_space_group_name_H-M_alt 'P -4 m 2'
_space_group_IT_number 115
_cell_length_a 4.271
_cell_length_b 4.271
_cell_length_c 10.577
_cell_angle_alpha 90.00
_cell_angle_beta 90.00
_cell_angle_gamma 90.00
loop_
_space_group_symop_operation_xyz
'x,y,z'
'y,-x,-z'
'-x,-y,z'
'-y,x,-z'
'-x,y,z'
'-y,-x,-z'
'x,-y,z'
'y,x,-z'
loop_
_atom_site_label
_atom_site_fract_x
_atom_site_fract_y
_atom_site_fract_z
Nd1 0.000 0.500 0.249
Zn1 0.000 0.000 0.000
Zn2 0.000 0.000 0.500
Zn3 0.000 0.500 0.873
Zn4 0.500 0.500 0.000
Ga1 0.000 0.500 0.642
Ga2 0.500 0.500 0.500
```

Peak list (10 most intense, 2θ = 10–90°, low angle first)
- 29.58 deg, d 3.020, I = 17
- 32.94 deg, d 2.719, I = 61